== What to do ==
Please filter the rows further down: keep the lines with the word "def2-TZVPD".

== Input ==
-- begin --
one:
C28H84O28 | ωB97M-V/def2-TZVPD

Last column: Mulliken charge in e.
Cartesian coordinates (Å):
O  -1.44967  1.94574  -3.85961  -0.4669
O  -4.16015  -0.22888  -4.55289  -0.6138
O  3.13009  -0.83701  -1.52079  0.5219
O  5.43874  -1.03907  0.92467  -0.5213
O  -2.57245  -2.80302  -3.28613  -0.3130
O  -2.98176  -1.05272  3.82684  -0.3936
O  -0.56724  -2.35299  2.26519  0.5504
O  3.01633  4.77767  3.62211  -0.5729
O  -3.00750  -2.11643  -0.34484  -0.4736
O  2.04557  1.31766  -0.41767  -0.6317
O  0.36749  1.53660  6.43421  -0.5072
O  -5.88678  4.09585  1.43730  -0.5462
O  0.23599  -1.96316  -3.67944  0.3401
O  -2.74065  0.33917  -2.04855  0.4936
O  0.41449  -1.46162  -0.20442  2.1280
O  2.33253  2.19202  2.31334  -0.2356
O  5.27992  4.25096  -1.32074  -0.5580
O  -3.20808  4.31810  -3.17686  -0.5853
O  -1.43701  -2.58383  -6.01372  -0.6531
O  -0.94819  -5.39160  4.19362  -0.5518
O  -3.43703  2.69247  1.58584  -0.3729
O  3.89070  -3.13526  -0.29884  -0.5569
O  -3.17229  -1.09243  6.54854  -0.5946
O  2.65288  0.24120  4.41891  -0.4691
O  4.17315  -0.34018  -4.95409  -0.5727
O  1.77704  -6.82864  -2.71508  -0.5508
O  2.23182  4.48304  -0.94571  -0.3613
O  0.21012  -4.57310  -2.93696  -0.4764
C  3.72708  -2.79667  1.06001  0.4238
C  1.38124  -4.53415  -2.11585  0.1494
C  -2.17827  3.69841  -2.38709  0.3881
C  0.24224  -1.24217  -4.92492  -0.3333
C  -3.41770  0.07610  4.51298  -0.1736
C  -4.17088  0.52015  -2.23371  -0.4147
C  -2.90908  -3.66263  -2.22260  -0.9830
C  -2.34628  -3.21792  -0.90706  -0.0239
C  0.61705  1.03358  -0.31714  -0.6250
C  -0.57988  -3.74348  2.57216  0.0199
C  -3.55748  4.02131  0.98078  -0.2336
C  -4.64171  4.84449  1.63747  -0.6820
C  -1.11084  -1.27984  -5.58068  -0.0469
C  1.80827  4.47909  2.87692  -0.0517
C  2.36333  -5.54207  -2.63523  -0.2923
C  -1.10114  -4.01322  3.90815  -0.3346
C  3.61355  -0.19641  -2.69408  -0.6377
C  3.26393  5.39274  -0.54793  -0.6741
C  4.95555  -2.18779  1.64104  -0.6975
C  -2.77859  0.11032  5.89001  0.3046
C  0.94892  0.25444  6.20455  -0.7783
C  0.26962  -0.19623  0.44385  -0.1225
C  4.51289  4.66554  -0.13068  -0.1211
C  1.45735  3.03480  3.01655  -0.0358
C  1.26391  -0.02198  4.76997  0.6993
C  -4.68245  -0.48477  -3.21522  -0.2477
C  -1.02760  3.13368  -3.17615  -0.0746
C  3.81186  -1.12024  -3.85171  0.2605
H  -3.21843  1.00812  3.95850  0.1097
H  -4.50411  0.19683  4.61232  0.2520
H  -0.22513  -2.27625  1.35050  -0.6154
H  4.47247  -1.95109  -3.57576  0.3412
H  1.79236  -0.05199  6.84131  0.4645
H  0.45266  2.93837  2.59081  0.0939
H  -1.21226  -4.26660  1.84517  0.1316
H  -3.12405  -1.79942  5.88811  0.3449
H  2.86871  1.68338  2.94273  0.1846
H  -4.33515  1.54096  -2.60947  0.4131
H  1.36991  2.79076  4.07894  0.2184
H  2.83430  -1.60903  -3.98745  -0.3640
H  3.25357  5.69252  3.44316  0.3061
H  2.50052  4.15402  -1.81108  0.2500
H  3.75420  -2.27604  -0.77683  0.2501
H  1.19818  -1.44041  -0.77959  -0.9220
H  3.33419  -5.56338  -2.13090  0.2567
H  0.11556  1.87398  0.16704  0.5515
H  -2.01824  4.35512  -1.53287  0.5016
H  0.96918  5.16234  3.08491  0.4101
H  -2.49337  -1.88877  -2.96326  -0.0780
H  -1.69661  0.20634  5.69888  -0.3923
H  -2.22952  0.90497  -2.68908  -0.2871
H  -2.33322  -0.81587  3.15677  0.0745
H  -3.84086  3.76866  -0.04649  0.2421
H  -1.69383  -3.03615  -5.19317  0.4156
H  -1.26437  -0.54058  -6.36584  0.5334
H  5.16969  5.20275  0.54572  0.3625
H  -4.71273  5.72781  0.98628  0.4157
H  -1.49868  -5.66456  4.92694  0.3257
H  -0.67632  -0.03257  0.95895  0.3911
H  -4.01113  -3.70976  -2.20504  0.3358
H  -2.16004  2.22658  -4.45307  0.2652
H  2.74830  -0.11817  -0.93630  -0.0910
H  -2.36504  -4.03354  -0.18185  0.3785
H  5.72515  -2.94924  1.81725  0.3189
H  5.97142  -1.40709  0.20437  0.3034
H  2.84570  -2.14601  1.19293  -0.5748
H  0.69701  0.59136  4.06214  -0.1416
H  4.52817  0.33554  -2.39256  0.6362
H  -4.66978  0.36756  -1.27444  0.3626
H  4.23931  3.69914  0.31550  0.1021
H  0.89787  -6.75476  -2.33049  0.3474
-- stop --

== Here it is ==
C28H84O28 | ωB97M-V/def2-TZVPD